Contents:
~~~
No. 1
Formula: C41H60I2NO2P2S4SbSr
Source: OMol25
Level of theory: ωB97M-V with the def2-TZVPD basis set

The value obtained for the energy is -134578.3772 eV.

Geometry as ORCA input:
```
! wB97M-V def2-TZVPD RIJCOSX def2/J DEFGRID3
* xyz -2 1
Sr 1.882 0.540 -0.009
I 4.925 -3.145 2.921
C 4.074 -3.452 1.051
C 4.249 -4.696 0.436
C 3.765 -4.954 -0.817
I 4.104 -6.837 -1.654
C 3.064 -3.939 -1.519
C 2.567 -4.079 -2.828
C 1.930 -3.034 -3.429
C 1.758 -1.839 -2.713
N 2.190 -1.673 -1.487
C 2.858 -2.685 -0.886
C 3.378 -2.392 0.444
O 3.212 -1.239 0.947
H 4.795 -5.460 0.973
H 2.707 -5.017 -3.350
H 1.556 -3.117 -4.440
H 1.241 -0.985 -3.127
S -3.403 4.415 1.220
Sb -2.803 2.402 2.197
S -0.581 1.723 0.992
S 0.980 3.104 0.768
S -3.611 0.534 1.023
O 0.294 0.876 -2.107
P -1.135 0.756 -2.615
C -2.257 2.022 -1.959
C -1.583 3.423 -2.013
C -2.274 4.367 -2.993
C -3.750 4.589 -2.629
C -4.391 3.315 -2.052
C -3.681 2.066 -2.546
C -1.124 1.078 -4.457
C -2.306 0.565 -5.313
C -2.162 -0.863 -5.827
C -0.850 -1.038 -6.578
C 0.304 -0.673 -5.657
C 0.203 0.767 -5.160
C -1.746 -0.930 -2.219
C -3.244 -1.214 -2.364
C -3.493 -2.727 -2.307
C -2.552 -3.424 -1.308
C -2.154 -2.452 -0.202
C -1.331 -1.292 -0.772
H -2.330 1.772 -0.894
H -0.513 3.342 -2.230
H -1.642 3.839 -1.003
H -2.198 3.979 -4.018
H -1.745 5.324 -2.995
H -4.293 4.932 -3.518
H -3.821 5.371 -1.868
H -5.455 3.264 -2.309
H -4.335 3.347 -0.964
H -3.661 2.099 -3.638
H -4.244 1.186 -2.251
H -1.214 2.169 -4.419
H -2.373 1.224 -6.190
H -3.247 0.675 -4.787
H -3.013 -1.102 -6.472
H -2.198 -1.573 -4.994
H -0.841 -0.384 -7.459
H -0.744 -2.064 -6.944
H 1.268 -0.829 -6.152
H 0.267 -1.356 -4.810
H 0.286 1.428 -6.033
H 1.030 1.017 -4.493
H -1.200 -1.590 -2.909
H -3.668 -0.802 -3.282
H -3.759 -0.719 -1.536
H -3.366 -3.162 -3.306
H -4.534 -2.901 -2.021
H -1.646 -3.772 -1.820
H -3.030 -4.317 -0.897
H -1.573 -2.958 0.574
H -3.045 -2.057 0.295
H -0.274 -1.574 -0.782
H -1.439 -0.422 -0.122
C -0.535 2.008 5.686
C 0.935 2.037 5.255
C 1.833 1.882 6.481
C 1.204 3.403 4.606
P 1.186 0.772 3.869
C 3.042 0.691 3.952
C 3.854 -0.119 4.749
C 5.237 0.001 4.731
C 5.852 0.938 3.913
C 5.065 1.752 3.110
C 3.682 1.625 3.127
C 0.539 -0.908 4.424
C 0.742 -1.390 5.863
C 1.156 -1.915 3.448
C -0.978 -0.892 4.131
H -0.742 2.891 6.301
H -0.769 1.125 6.285
H -1.213 2.045 4.832
H 1.621 2.703 7.179
H 2.889 1.936 6.218
H 1.659 0.943 7.010
H 0.911 4.192 5.309
H 0.637 3.530 3.682
H 2.263 3.535 4.375
H 3.410 -0.858 5.400
H 5.840 -0.648 5.359
H 6.933 1.027 3.898
H 5.526 2.493 2.466
H 3.064 2.265 2.497
H 1.789 -1.498 6.146
H 0.270 -2.374 5.976
H 0.268 -0.721 6.581
H 2.245 -1.938 3.476
H 0.855 -1.686 2.422
H 0.777 -2.917 3.681
H -1.551 -0.382 4.906
H -1.340 -1.926 4.081
H -1.215 -0.397 3.185
*
```


No. 2
Formula: C41H61AsN2O5S2Sr
Source: OMol25
Level of theory: ωB97M-V with the def2-TZVPD basis set

The value obtained for the energy is -140068.7727 eV.

Geometry as ORCA input:
```
! wB97M-V def2-TZVPD RIJCOSX def2/J DEFGRID3
* xyz -2 1
Sr -0.290 0.143 0.465
C -0.599 4.018 2.897
C -0.810 2.528 2.598
O -1.038 2.220 1.404
C -0.794 1.657 3.689
C -1.174 0.277 3.619
C -1.397 -0.473 4.915
N -1.370 -0.298 2.475
N -1.815 -1.601 2.480
C -2.228 -2.010 1.300
O -2.321 -1.332 0.225
C -2.568 -3.471 1.301
C -3.045 -4.113 2.444
C -3.301 -5.475 2.434
C -3.082 -6.222 1.282
C -2.599 -5.590 0.144
C -2.349 -4.227 0.153
H 0.060 4.455 2.143
H -0.195 4.197 3.895
H -1.567 4.520 2.811
H -0.623 2.074 4.675
H -0.816 -0.030 5.727
H -1.115 -1.516 4.776
H -2.455 -0.449 5.188
H -3.194 -3.520 3.335
H -3.665 -5.967 3.330
H -3.277 -7.289 1.276
H -2.409 -6.171 -0.752
H -1.937 -3.724 -0.713
O 1.509 0.255 1.868
S 1.879 0.651 3.241
C 2.629 2.330 3.127
C 3.793 2.534 2.167
C 3.431 2.354 0.679
C 2.588 3.455 0.056
S 1.356 2.850 -1.528
O 0.766 1.752 -0.696
C 2.884 2.228 -2.262
C 3.839 3.083 -2.793
C 5.012 2.573 -3.330
C 5.241 1.203 -3.316
C 4.293 0.351 -2.762
C 3.113 0.858 -2.235
C 3.443 -0.238 3.554
C 3.817 -0.518 4.859
C 4.957 -1.271 5.105
C 5.701 -1.766 4.043
C 5.308 -1.506 2.736
~~~

Assignment:
Repeat only the lines earlier on with the word "eV" in them, please.

Outcome:
The value obtained for the energy is -134578.3772 eV.
The value obtained for the energy is -140068.7727 eV.